**Listing:**
- - -
Ca3Ho | GGA-PBE | relaxed

Calculated values
SG	Imm2, No. 44
V	153.5	Å³/cell
magnetic moment	1.08	μB per formula unit
E	-10.09	eV per formula unit
E above lowest polymorph	0	meV/atom

Cell: 7.3002 7.3002 7.3002 Å, 150.36 62.45 126.40°
Last column: nearest neighbours and their distance in Å.
Sites, in units of the cell vectors:
1 Ca 0.0000 0.0000 0.0000  8 Ca 3.73-3.85, 4 Ho 3.78
2 Ca 0.4230 0.6683 0.7546  9 Ca 3.73-3.85, 3 Ho 3.75-3.86
3 Ca 0.9137 0.6683 0.2454  9 Ca 3.73-3.85, 3 Ho 3.75-3.86
4 Ho 0.5001 0.0001 0.5000  2 Ho 3.73, 10 Ca 3.75-3.86


# 1
The following is a PBEsol calculation of Na3RuO4 after structural relaxation, from the Alexandria database.

Lattice parameters (Å, degrees): 10.969 12.781 5.691 90.00 109.78 90.00
Space group C2/m (No. 12)
Asymmetric unit:
Na (0.000, 0.000, 0.000) x2
Na (0.000, 0.125, 0.500) x4
Na (0.000, 0.242, 0.000) x4
Na (0.000, 0.500, 0.000) x2
Na (0.245, 0.376, 0.019) x8
Na (0.250, 0.250, 0.500) x4
Ru (0.000, 0.374, 0.500) x4
Ru (0.247, 0.000, 0.475) x4
O (0.102, 0.274, 0.723) x8
O (0.112, 0.500, 0.702) x4
O (0.122, 0.389, 0.312) x8
O (0.147, 0.108, 0.268) x8
O (0.155, 0.000, 0.700) x4

Values from the calculation:
As for the density: 4.14 g/cm³. The density of states at the Fermi level comes out at 0.71 states/eV per cell. The calculation puts the uncorrected formation energy at -1382 meV per atom. As for the total moment: 0.377 μB/atom.

# 2
The following is a PBEsol calculation of LiGeP2S after structural relaxation, from the Alexandria database.

Lattice parameters (Å, degrees): 4.688 4.688 4.804 90.00 90.00 90.00
Space group P4/mmm (No. 123)
Asymmetric unit:
Li (0.000, 0.000, 0.000) x1
Ge (0.500, 0.500, 0.500) x1
P (0.000, 0.500, 0.500) x2
S (0.500, 0.500, 0.000) x1

Values from the calculation:
As for the density: 2.73 g/cm³. The density of states at the Fermi level comes out at 4.27 states/eV per cell. The calculation puts the uncorrected formation energy at 514 meV per atom. As for the total moment: 0.003 μB/atom.

# 3
The following is a PBEsol calculation of SiTc2Ir after structural relaxation, from the Alexandria database.

Lattice parameters (Å, degrees): 3.802 3.802 7.499 90.00 90.00 90.00
Space group I-4m2 (No. 119)
Asymmetric unit:
Si (0.000, 0.000, 0.000) x2
Tc (0.000, 0.000, 0.500) x2
Tc (0.000, 0.500, 0.250) x2
Ir (0.000, 0.500, 0.750) x2

Values from the calculation:
As for the density: 12.75 g/cm³. The density of states at the Fermi level comes out at 9.59 states/eV per cell. The calculation puts the uncorrected formation energy at -187 meV per atom. As for the total moment: 0.000 μB/atom.

# 4
The following is a PBEsol calculation of Mo2HO6 after structural relaxation, from the Alexandria database.

Lattice parameters (Å, degrees): 3.720 3.761 8.649 100.32 101.21 90.01
Space group P1 (No. 1)
Asymmetric unit:
Mo (0.000, 0.000, 0.000) x1
Mo (0.349, 0.865, 0.665) x1
H (0.153, 0.940, 0.301) x1
O (0.000, 0.503, 0.999) x1
O (0.103, 0.103, 0.218) x1
O (0.255, 0.783, 0.462) x1
O (0.361, 0.375, 0.690) x1
O (0.476, 0.979, 0.945) x1
O (0.882, 0.895, 0.737) x1

Values from the calculation:
As for the density: 4.11 g/cm³. The calculation puts the total energy at -8.260 eV/atom. The density of states at the Fermi level comes out at 1.40 states/eV per cell. As for the total moment: 0.000 μB/atom.

# 5
The following is a PBEsol calculation of HgTeW3 after structural relaxation, from the Alexandria database.

Lattice parameters (Å, degrees): 4.907 4.907 4.907 90.00 90.00 90.00
Space group Pm-3m (No. 221)
Asymmetric unit:
Hg (0.000, 0.000, 0.000) x1
Te (0.500, 0.500, 0.500) x1
W (0.000, 0.000, 0.500) x3

Values from the calculation:
As for the density: 12.37 g/cm³. The density of states at the Fermi level comes out at 8.35 states/eV per cell. The calculation puts the uncorrected formation energy at 3042 meV per atom. As for the total moment: 0.000 μB/atom.

# 6
The following is a PBEsol calculation of SrLiY after structural relaxation, from the Alexandria database.
- - -

**Wanted:**
Please search the rows above for the word "Alexandria" and duplicate each line that has it.

**Outcome:**
The following is a PBEsol calculation of Na3RuO4 after structural relaxation, from the Alexandria database.
The following is a PBEsol calculation of LiGeP2S after structural relaxation, from the Alexandria database.
The following is a PBEsol calculation of SiTc2Ir after structural relaxation, from the Alexandria database.
The following is a PBEsol calculation of Mo2HO6 after structural relaxation, from the Alexandria database.
The following is a PBEsol calculation of HgTeW3 after structural relaxation, from the Alexandria database.
The following is a PBEsol calculation of SrLiY after structural relaxation, from the Alexandria database.